What to do =
Next, say how many lines of the listing further down hold the word "def2-TZVPD", as a bare number.

Listing =
-- begin --
{"formula": "C32H106N8O17", "method": "the ωB97M-V functional and the def2-TZVPD basis", "elements": ["C", "C", "C", "O", "C", "N", "H", "H", "H", "H", "H", "H", "H", "H", "H", "H", "H", "C", "C", "C", "O", "C", "N", "H", "H", "H", "H", "H", "H", "H", "H", "H", "H", "H", "C", "C", "C", "O", "C", "N", "H", "H", "H", "H", "H", "H", "H", "H", "H", "H", "H", "C", "C", "C", "O", "C", "N", "H", "H", "H", "H", "H", "H", "H", "H", "H", "H", "H", "C", "C", "C", "O", "C", "N", "H", "H", "H", "H", "H", "H", "H", "H", "H", "H", "H", "C", "C", "C", "O", "C", "N", "H", "H", "H", "H", "H", "H", "H", "H", "H", "H", "H", "C", "C", "C", "O", "C", "N", "H", "H", "H", "H", "H", "H", "H", "H", "H", "H", "H", "C", "C", "C", "O", "C", "N", "H", "H", "H", "H", "H", "H", "H", "H", "H", "H", "H", "O", "H", "H", "O", "H", "H", "O", "H", "H", "O", "H", "H", "O", "H", "H", "O", "H", "H", "O", "H", "H", "O", "H", "H", "O", "H", "H"], "xyz": [[-17.816, -17.586, 18.428], [-17.925, -17.086, 19.900], [-17.121, -15.784, 19.973], [-15.713, -16.119, 19.977], [-14.959, -15.493, 20.992], [-19.329, -16.841, 20.162], [-18.349, -16.917, 17.751], [-18.187, -18.606, 18.318], [-16.780, -17.680, 18.092], [-17.391, -17.838, 20.476], [-17.334, -15.245, 20.900], [-17.285, -15.068, 19.166], [-14.742, -14.429, 20.872], [-13.957, -15.919, 21.093], [-15.352, -15.684, 21.996], [-19.604, -16.935, 21.140], [-19.524, -15.862, 19.981], [-19.514, -14.660, 16.045], [-19.856, -13.391, 15.308], [-21.026, -13.641, 14.344], [-20.769, -14.766, 13.506], [-19.859, -14.491, 12.453], [-20.158, -12.362, 16.323], [-18.907, -14.409, 16.917], [-18.968, -15.368, 15.420], [-20.412, -15.188, 16.372], [-18.970, -13.219, 14.685], [-21.313, -12.762, 13.760], [-21.853, -13.851, 15.026], [-20.162, -13.595, 11.904], [-19.825, -15.383, 11.832], [-18.868, -14.255, 12.852], [-20.496, -11.579, 15.773], [-19.293, -12.109, 16.787], [-14.482, -16.993, 25.069], [-13.255, -17.600, 25.807], [-13.573, -18.010, 27.249], [-14.074, -16.948, 27.972], [-14.317, -17.320, 29.324], [-12.710, -18.682, 25.014], [-15.124, -17.817, 24.755], [-14.003, -16.520, 24.210], [-15.043, -16.269, 25.654], [-12.441, -16.872, 25.778], [-12.706, -18.518, 27.687], [-14.382, -18.756, 27.219], [-14.233, -16.450, 29.975], [-13.650, -18.059, 29.770], [-15.351, -17.671, 29.367], [-13.431, -19.397, 24.939], [-11.971, -19.180, 25.499], [-20.408, -15.059, 23.311], [-21.067, -16.382, 23.755], [-22.605, -16.434, 23.621], [-23.275, -15.376, 24.276], [-23.778, -14.431, 23.382], [-20.507, -17.480, 22.969], [-20.794, -14.247, 23.929], [-20.685, -14.756, 22.298], [-19.321, -15.106, 23.382], [-20.753, -16.511, 24.795], [-22.984, -17.404, 23.955], [-22.939, -16.469, 22.580], [-24.085, -13.470, 23.796], [-24.635, -14.850, 22.846], [-23.052, -14.128, 22.621], [-20.862, -18.418, 23.093], [-19.507, -17.502, 23.148], [-16.364, -22.958, 14.527], [-17.736, -22.226, 14.310], [-18.152, -21.460, 15.569], [-18.203, -22.358, 16.670], [-18.906, -21.859, 17.801], [-17.548, -21.374, 13.144], [-16.419, -23.749, 15.278], [-15.496, -22.331, 14.732], [-16.115, -23.572, 13.658], [-18.447, -22.963, 13.935], [-19.086, -20.909, 15.425], [-17.395, -20.703, 15.801], [-19.900, -21.468, 17.581], [-18.366, -21.030, 18.269], [-18.888, -22.684, 18.510], [-18.336, -20.750, 13.002], [-16.789, -20.721, 13.316], [-12.291, -22.813, 18.488], [-13.714, -22.679, 19.015], [-14.637, -22.040, 17.954], [-14.294, -20.690, 17.645], [-14.441, -19.733, 18.696], [-14.172, -24.001, 19.421], [-11.756, -23.622, 18.986], [-11.696, -21.902, 18.604], [-12.170, -22.959, 17.411], [-13.643, -22.008, 19.872], [-15.670, -22.082, 18.309], [-14.623, -22.588, 17.012], [-15.410, -19.758, 19.201], [-14.325, -18.716, 18.325], [-13.701, -19.906, 19.481], [-13.437, -24.376, 20.006], [-14.184, -24.620, 18.618], [-22.737, -16.853, 18.590], [-23.956, -15.918, 18.359], [-24.350, -15.107, 19.545], [-25.474, -14.267, 19.340], [-26.686, -14.979, 19.268], [-23.676, -15.082, 17.168], [-21.749, -16.390, 18.557], [-22.598, -17.536, 17.748], [-22.886, -17.507, 19.449], [-24.777, -16.587, 18.089], [-23.456, -14.567, 19.868], [-24.496, -15.745, 20.427], [-27.471, -14.242, 19.454], [-26.712, -15.782, 20.006], [-26.968, -15.304, 18.262], [-22.973, -14.412, 17.473], [-24.465, -14.474, 16.974], [-13.271, -15.503, 17.508], [-14.232, -14.549, 16.773], [-15.320, -15.241, 15.934], [-14.692, -15.896, 14.861], [-15.660, -16.440, 13.974], [-14.950, -13.878, 17.889], [-13.868, -16.137, 18.162], [-12.501, -14.951, 18.048], [-12.679, -16.142, 16.848], [-13.683, -13.816, 16.184], [-16.145, -14.578, 15.660], [-15.779, -16.025, 16.551], [-16.087, -15.662, 13.335], [-16.454, -16.975, 14.498], [-15.102, -17.101, 13.312], [-15.374, -14.570, 18.495], [-14.307, -13.343, 18.458], [-11.304, -16.928, 20.152], [-11.976, -17.441, 20.632], [-10.801, -17.579, 19.656], [-17.612, -18.095, 23.293], [-16.741, -18.222, 22.882], [-18.025, -18.962, 23.248], [-20.358, -19.455, 19.614], [-20.558, -19.789, 20.491], [-20.088, -18.529, 19.753], [-21.430, -13.387, 18.497], [-20.932, -13.171, 17.678], [-20.746, -13.545, 19.165], [-14.933, -11.297, 21.733], [-14.329, -11.523, 21.021], [-14.476, -10.612, 22.228], [-15.446, -18.564, 21.629], [-14.490, -18.502, 21.749], [-15.708, -17.684, 21.327], [-19.246, -13.606, 20.100], [-18.678, -13.191, 19.434], [-18.923, -13.270, 20.942], [-12.567, -18.443, 22.000], [-12.672, -18.279, 22.951], [-11.687, -18.822, 21.919], [-17.528, -12.269, 18.163], [-17.319, -11.636, 18.858], [-16.687, -12.719, 17.972]], "forces_ev_per_a": [[0.427, -0.452, 0.252], [0.610, 0.711, -2.589], [0.873, -0.094, 1.081], [0.279, 0.121, 0.145], [0.877, -0.122, 0.786], [-0.242, -0.062, 0.835], [-0.087, -0.005, 0.024], [-0.460, 0.136, 0.123], [0.160, 0.372, 0.129], [-0.738, 0.002, 0.616], [-0.135, -0.092, 0.107], [-0.368, -0.294, -0.253], [-0.628, 0.203, -0.220], [-0.014, -0.419, -0.741], [-0.593, 0.345, -0.019], [0.162, -0.294, 0.048], [-0.157, 0.016, -0.440], [-0.133, -0.815, 0.177], [0.600, -0.692, -0.383], [0.185, -0.217, 0.916], [-0.345, 0.490, 0.194], [-0.099, 0.315, 0.717], [0.029, -0.216, -1.823], [0.089, -0.145, 0.054], [0.096, 0.079, -0.027], [-0.041, 0.097, 0.213], [0.113, 0.864, 0.138], [0.228, 0.139, -0.189], [-0.340, -0.467, -0.438], [-0.207, -0.143, -0.326], [0.039, 0.162, -0.122], [0.205, -0.276, -0.089], [-0.023, 0.496, 0.579], [0.065, 0.244, -0.010], [1.424, -0.632, 0.163], [-0.211, 1.077, 0.486], [-0.602, -0.924, -1.265], [1.029, 0.675, 1.164], [-0.810, 0.580, 0.178], [-0.626, -1.157, -0.454], [-0.213, 0.152, -0.098], [-0.629, 0.163, -0.303], [0.139, -0.048, 0.058], [-0.234, 0.376, 0.550], [0.184, 0.302, 0.293], [0.115, -0.449, -0.252], [-0.079, 0.221, -0.292], [0.203, -0.230, -0.557], [0.023, -0.262, 0.302], [-0.120, -0.078, -0.248], [0.315, 0.329, 0.063], [-0.952, 0.065, -0.123], [-0.101, -0.148, -0.204], [0.064, -0.059, -0.415], [0.390, 0.004, 0.846], [-0.292, 0.483, -1.386], [0.718, 0.322, -0.612], [0.233, -0.057, 0.278], [0.071, -0.384, -0.215], [0.002, -0.069, 0.118], [-0.524, 0.081, 0.317], [0.134, 0.068, 0.729], [0.566, 0.331, -0.344], [-0.022, -0.399, 0.875], [-0.117, 0.077, -0.061], [0.203, -0.282, -0.064], [-0.428, 0.199, 0.449], [-0.089, -0.132, -0.081], [-0.793, -1.038, -0.235], [1.697, -0.334, -0.209], [0.338, -0.449, 0.316], [-0.684, 0.164, -0.380], [0.892, 0.079, 0.016], [0.142, 1.068, -0.130], [-0.207, 0.459, 0.518], [-0.280, 0.384, 0.100], [-0.101, 0.471, -0.435], [-0.308, -0.160, 0.822], [-0.301, -0.235, 0.000], [0.215, 0.160, -0.212], [-0.154, -0.352, -0.112], [0.123, 0.117, -0.034], [-0.459, 0.075, 0.056], [-0.317, -0.237, -0.036], [0.268, -0.127, 0.001], [1.154, 0.904, -0.590], [0.785, 0.033, -1.196], [-0.354, 0.374, 0.945], [0.066, 0.348, -0.021], [-0.036, -0.640, 0.261], [-0.593, 0.063, 0.318], [0.033, 0.048, 0.098], [-0.073, 0.097, 0.393], [-0.592, -0.439, -0.081], [-0.465, -0.236, 0.236], [-0.109, 0.005, 0.128], [0.273, -0.016, -0.001], [-0.227, -0.319, -0.197], [0.198, -0.180, -0.409], [0.165, 0.119, 0.028], [-0.161, -0.175, 0.241], [-0.139, 0.057, 
-- stop --

Outcome =
1